The International Baccalaureate Middle Years Programme (IBMYP) emphasizes intellectual rigour and holistic development. It encourages students aged 11 to 16 to make practical connections between their studies and the real world, preparing them for success in further study and in life. The IBMYP aims to develop active learners and internationally minded young people who can empathize with others and pursue lives of purpose and meaning.
In IBMYP, students are assessed entirely by the coursework undertaken throughout the semester. Assessment outcomes provide teachers with information on where students are in terms of achieving curriculum expectations and allow teachers to guide students with alternative learning strategies towards achieving their learning objectives.

Welcome Message By IBMYP Coordinator
Welcome to Sunway International School (SIS) Iskandar Puteri campus Middle Years Programme.
Here at SIS Iskandar Puteri, we understand that students in the International Baccalaureate Middle Years Programme (IBMYP) are at a crucial time in their development towards becoming young adults. As such, our programme seeks to support our students with personal and intellectual development that allows them to acquire knowledge, personal qualities, and skills which will support them on their journey to becoming internationally-minded global citizens.
Currently, students in grades 6 to 10 are studying within the IBMYP framework using the Ontario curriculum as the base content for study. The IBMYP is aligned with the Ontario course requirements, most predominantly in grades 6 to 8, while grades 9 and 10 bridge the Ontario content into the IBDP requirements. Students at SIS Iskandar Puteri are given the opportunity to explore 8 academic areas; Language and Literature, Language Acquisition, Mathematics, Science, Individuals and Societies, Arts, Physical and Health Education, and Design. IB places a strong emphasis on multi-lingual learning and to this end, SIS Iskandar Puteri offers students the opportunity to take English, Malay, and Mandarin at the Language and Literature level and/or Language Acquisition level. Underpinning all of these subject areas are the IB Learner Profiles, Approaches to Learning, Global Context, Key Concepts, Personal Project, and Service as Action. These components enhance the development of our students’ knowledge, skills, and habits, and along with an emphasis on an inquiry-based, student-centred model, students are provided an inclusive and challenging environment to safely explore content and concepts within relevant situations.
In support of our students’ development, SIS Iskandar Puteri also advocates assessment as a continuous form of feedback that is both formative and summative in nature. Students experience a wide range of assessments from conversations with teachers and/or with peers, anecdotal notes, self-reflection, to the creating of various products. Formative assessment is integrated within the classroom and is a daily part of lessons. A summative assessment usually occurs at the end of each unit and provides students with an opportunity to showcase their knowledge and understanding of their learning. With an emphasis on formative assessment, students are supported in developing their understanding of not only what to learn, but also, how to learn.
Along with the various aspects of the IBMYP we also strive to develop within our students shared values of community, integrity, respect, and responsibility. By focusing on character development, intercultural understanding, personal, community and global responsibilities, and service-learning, our students are well on their way to becoming internationally-minded global citizens.
Driving the student learning and development are the teachers and support staff here at SIS Iskandar Puteri. Our teachers strive to develop an engaging and inclusive programme that is designed around the individual needs of each student, and as such, allows our students to explore new possibilities and interests for themselves and their learning. Our teachers look to challenge our students to push themselves to reach their full potential and encourage students every step of the way.
Next to the entry, the page also holds data records:
┌──
1.
Below is an optimized crystal structure of MoH20C7NClO6, with properties calculated at the GGA+U level.

Geometry as CIF:
```
data_MoH20C7NClO6
_space_group_name_H-M_alt 'P 21 21 21'
_space_group_IT_number 19
_space_group_name_Hall 'P 2ac 2ab'
_cell_length_a 8.493
_cell_length_b 12.190
_cell_length_c 14.930
_cell_angle_alpha 90.00
_cell_angle_beta 90.00
_cell_angle_gamma 90.00
loop_
_atom_site_label
_atom_site_type_symbol
_atom_site_fract_x
_atom_site_fract_y
_atom_site_fract_z
_atom_site_occupancy
Mo1 Mo 0.249 0.060 0.477 1
H1 H 0.015 0.777 0.384 1
H2 H 0.021 0.094 0.810 1
H3 H 0.030 0.846 0.681 1
H4 H 0.039 0.262 0.909 1
H5 H 0.045 0.842 0.279 1
H6 H 0.046 0.678 0.779 1
H7 H 0.049 0.698 0.287 1
H8 H 0.118 0.480 0.193 1
H9 H 0.137 0.569 0.559 1
H10 H 0.142 0.402 0.349 1
H11 H 0.150 0.274 0.810 1
H12 H 0.152 0.298 0.514 1
H13 H 0.157 0.555 0.854 1
H14 H 0.159 0.396 0.061 1
H15 H 0.160 0.700 0.013 1
H16 H 0.182 0.477 0.696 1
H17 H 0.190 0.543 0.344 1
H18 H 0.197 0.710 0.547 1
H19 H 0.203 0.249 0.280 1
H20 H 0.230 0.186 0.175 1
C1 C 0.009 0.272 0.188 1
C2 C 0.030 0.269 0.836 1
C3 C 0.045 0.669 0.707 1
C4 C 0.183 0.259 0.208 1
C5 C 0.223 0.632 0.579 1
C6 C 0.228 0.461 0.323 1
C7 C 0.234 0.461 0.221 1
N1 N 0.214 0.646 0.679 1
Cl1 Cl 0.245 0.946 0.139 1
O1 O 0.019 0.094 0.482 1
O2 O 0.021 0.903 0.977 1
O3 O 0.082 0.099 0.391 1
O4 O 0.091 0.899 0.887 1
O5 O 0.247 0.255 0.500 1
O6 O 0.249 0.081 0.967 1
```

Properties
* energy of formation from the pure elements: -478.6 meV/atom

2.
Below is an optimized crystal structure of CsFe3P3O14, with properties calculated at the GGA+U level.

Geometry as CIF:
```
data_CsFe3P3O14
_space_group_name_H-M_alt 'C 1 2/c 1'
_space_group_IT_number 15
_space_group_name_Hall '-C 2yc'
_cell_length_a 13.400
_cell_length_b 10.856
_cell_length_c 9.141
_cell_angle_alpha 90.00
_cell_angle_beta 107.73
_cell_angle_gamma 90.00
loop_
_atom_site_label
_atom_site_type_symbol
_atom_site_fract_x
_atom_site_fract_y
_atom_site_fract_z
_atom_site_occupancy
Cs1 Cs 0.000 0.144 0.250 1
Fe1 Fe 0.000 0.234 0.750 1
Fe2 Fe 0.179 0.425 0.573 1
P1 P 0.000 0.491 0.750 1
P2 P 0.208 0.133 0.676 1
O1 O 0.063 0.426 0.383 1
O2 O 0.070 0.397 0.695 1
O3 O 0.095 0.121 0.687 1
O4 O 0.103 0.215 0.964 1
O5 O 0.212 0.060 0.532 1
O6 O 0.214 0.422 0.178 1
O7 O 0.238 0.270 0.662 1
```

Properties
* energy of formation from the pure elements: -2040.8 meV/atom

3.
Below is an optimized crystal structure of Li5Cr2Ni3O10, with properties calculated at the GGA+U level.

Geometry as CIF:
```
data_Li5Cr2Ni3O10
_space_group_name_H-M_alt 'P -1'
_space_group_IT_number 2
_space_group_name_Hall '-P 1'
_cell_length_a 5.062
_cell_length_b 5.098
_cell_length_c 7.665
_cell_angle_alpha 71.49
_cell_angle_beta 71.63
_cell_angle_gamma 80.40
loop_
_atom_site_label
_atom_site_type_symbol
_atom_site_fract_x
_atom_site_fract_y
_atom_site_fract_z
_atom_site_occupancy
Li1 Li 0.000 0.000 0.000 1
Li2 Li 0.495 0.712 0.098 1
Li3 Li 0.496 0.905 0.703 1
Cr1 Cr 0.006 0.390 0.196 1
└──
SIS Iskandar Puteri has established itself as a dynamic and engaging school that offers all of our students a personally challenging curriculum that goes beyond content to engage the whole learner in every aspect of personal, social, and intellectual development. As the IBMYP Coordinator, I look forward to welcoming all of our students, both new and returning, to a year of challenges, personal growth, and great discoveries.
Warm regards,
Ebony Smith
IBMYP Coordinator

[Crystal structures that have nothing to do with the article]
********
Entry 1:
Here is an optimized crystal structure of Na10Hf4Ti4Si9S3O48 from Materials Project. Energies are from PBE-GGA.

Cell: 9.007 15.559 22.604 Å, 90.26 90.09 90.04°
Sites, in units of the cell vectors:
1 Na 0.000 0.000 0.000
2 Na 0.000 0.335 0.666
3 Na 0.005 0.298 0.329
4 Na 0.013 0.967 0.663
5 Na 0.133 0.799 0.829
6 Na 0.137 0.134 0.495
7 Na 0.139 0.466 0.166
8 Na 0.142 0.836 0.166
9 Na 0.187 0.154 0.166
10 Na 0.310 0.645 0.918
11 Na 0.320 0.643 0.416
12 Na 0.322 0.312 0.750
13 Na 0.323 0.974 0.580
14 Na 0.326 0.316 0.251
15 Na 0.331 0.979 0.082
16 Na 0.501 0.499 0.999
17 Na 0.504 0.470 0.666
18 Na 0.507 0.800 0.330
19 Na 0.630 0.634 0.495
20 Na 0.634 0.303 0.831
21 Na 0.636 0.969 0.166
22 Na 0.641 0.335 0.166
23 Na 0.682 0.651 0.168
24 Na 0.812 0.147 0.919
25 Na 0.816 0.143 0.412
26 Na 0.816 0.812 0.751
27 Na 0.823 0.475 0.581
28 Na 0.823 0.817 0.250
29 Na 0.831 0.478 0.080
30 Na 0.963 0.652 0.670
31 Hf 0.314 0.990 0.731
32 Hf 0.320 0.644 0.769
33 Hf 0.324 0.322 0.602
34 Hf 0.324 0.643 0.270
35 Hf 0.325 0.650 0.564
36 Hf 0.327 0.990 0.937
37 Hf 0.812 0.824 0.394
38 Hf 0.819 0.822 0.599
39 Hf 0.821 0.824 0.102
40 Hf 0.823 0.153 0.772
41 Hf 0.831 0.158 0.560
42 Hf 0.833 0.821 0.897
43 Ti 0.303 0.326 0.394
44 Ti 0.304 0.652 0.066
45 Ti 0.323 0.327 0.101
46 Ti 0.324 0.987 0.435
47 Ti 0.330 0.995 0.228
48 Ti 0.344 0.325 0.897
49 Ti 0.804 0.154 0.065
50 Ti 0.809 0.492 0.728
51 Ti 0.817 0.482 0.434
52 Ti 0.826 0.144 0.267
53 Ti 0.830 0.486 0.935
54 Ti 0.831 0.490 0.228
55 Si 0.027 0.987 0.834
56 Si 0.028 0.324 0.497
57 Si 0.031 0.652 0.168
58 Si 0.105 0.488 0.334
59 Si 0.115 0.152 0.665
60 Si 0.123 0.815 0.000
61 Si 0.168 0.505 0.665
62 Si 0.174 0.463 0.998
63 Si 0.178 0.130 0.334
64 Si 0.179 0.799 0.667
65 Si 0.461 0.796 0.167
66 Si 0.465 0.136 0.834
67 Si 0.470 0.463 0.496
68 Si 0.470 0.506 0.162
69 Si 0.521 0.821 0.497
70 Si 0.535 0.155 0.168
71 Si 0.538 0.489 0.835
72 Si 0.607 0.991 0.331
73 Si 0.613 0.655 0.667
74 Si 0.617 0.318 0.000
75 Si 0.674 0.969 0.001
76 Si 0.675 0.299 0.668
77 Si 0.682 0.628 0.333
78 Si 0.963 0.628 0.833
79 Si 0.965 0.294 0.167
80 Si 0.970 0.010 0.164
81 Si 0.974 0.966 0.499
82 S 0.176 0.178 0.999
83 S 0.177 0.843 0.332
84 S 0.466 0.173 0.497
85 S 0.468 0.840 0.833
86 S 0.674 0.341 0.332
87 S 0.674 0.671 0.999
88 S 0.675 0.008 0.665
89 S 0.968 0.672 0.497
90 S 0.971 0.343 0.833
91 O 0.003 0.469 0.274
92 O 0.004 0.166 0.721
93 O 0.011 0.133 0.607
94 O 0.013 0.165 0.004
95 O 0.014 0.832 0.058
96 O 0.015 0.830 0.339
97 O 0.019 0.800 0.941
98 O 0.128 0.333 0.557
99 O 0.128 0.662 0.503
100 O 0.130 0.331 0.841
101 O 0.130 0.996 0.893
102 O 0.131 0.967 0.776
103 O 0.137 0.631 0.110
104 O 0.137 0.673 0.223
105 O 0.138 0.304 0.440
106 O 0.143 0.644 0.831
107 O 0.145 0.305 0.158
108 O 0.149 0.997 0.174
109 O 0.154 0.982 0.491
110 O 0.191 0.568 0.609
111 O 0.199 0.739 0.727
112 O 0.203 0.892 0.277
113 O 0.206 0.398 0.340
114 O 0.208 0.404 0.059
115 O 0.209 0.572 0.331
116 O 0.211 0.228 0.947
117 O 0.212 0.070 0.392
********
School Hours
Mon to Thurs: 8:00 am to 3:15 pm
Fri: 8:00 am to 12:00 pm

Extra-Curricular Activities
Mon to Thurs: 3:20 pm to 4:20 pm